-- Input --
- - -
Material: TcIrW2
Method: DFT, PBEsol
State: relaxed

Lattice parameters (Å, degrees): 2.756 3.877 5.560 90.00 90.00 90.00
Space group Pmmm (No. 47)
One atom of each set of equivalent atoms:
Tc1 0.000 0.000 0.000
Ir1 0.000 0.000 0.500
W1 0.500 0.500 0.248

## Properties
As for the total energy: -12.21 eV/atom. The crystal system is orthorhombic.

* * * * *

(1)
Computed, not measured: a relaxed Tm3NpO6F2 crystal at the PBE-GGA level of DFT.

Computed properties:
The total energy comes out at -0.6171 Ry per atom. The total magnetic moment comes out at 0.17 μB per atom. As for the mass density: 8.1 g cm⁻³. As for the density of states at the Fermi level: 7.24 states/eV/cell. The value obtained for the uncorrected formation energy is -329 kJ/mol of atoms.

abc: 6.7088 6.7088 4.6588
angles: 92.52 92.52 59.21
With the nearest neighbours (Å) after each atom.
Atoms (fractional coordinates):
Tm 0.0000 0.0000 0.0000  4 O 2.25, 2 F 2.33
Tm 0.0000 0.5000 0.5000  4 O 2.16-2.21, 2 F 2.27
Tm 0.5000 0.0000 0.5000  4 O 2.16-2.21, 2 F 2.27
Np 0.5000 0.5000 0.5000  6 O 2.13-2.20
O 0.1715 0.6704 0.7295  1 Np 2.20, 2 Tm 2.21-2.25
O 0.3296 0.8285 0.2705  1 Np 2.20, 2 Tm 2.21-2.25
O 0.3329 0.3329 0.2950  1 Np 2.13, 2 Tm 2.16
O 0.6671 0.6671 0.7050  1 Np 2.13, 2 Tm 2.16
O 0.6704 0.1715 0.7295  1 Np 2.20, 2 Tm 2.21-2.25
O 0.8285 0.3296 0.2705  1 Np 2.20, 2 Tm 2.21-2.25
F 0.1694 0.1694 0.7568  3 Tm 2.27-2.33
F 0.8306 0.8306 0.2432  3 Tm 2.27-2.33

---

(2)
Computed, not measured: a relaxed NpUO6F2 crystal at the PBE-GGA level of DFT.

Computed properties:
The total energy comes out at -0.6105 Ry per atom. The total magnetic moment comes out at 0.10 μB per atom. As for the mass density: 6.3 g cm⁻³. As for the density of states at the Fermi level: 14.70 states/eV/cell. The value obtained for the uncorrected formation energy is -245 kJ/mol of atoms.

abc: 7.3274 7.6080 5.7993
angles: 90.00 90.00 90.00
With the nearest neighbours (Å) after each atom.
Atoms (fractional coordinates):
Np 0.2500 0.2500 0.2379  4 O 1.83-1.94
Np 0.7500 0.7500 0.7621  4 O 1.83-1.94
U 0.2500 0.7500 0.4863  2 O 1.94, 2 F 2.03
U 0.7500 0.2500 0.5137  2 O 1.94, 2 F 2.03
O 0.0599 0.2500 0.4719  1 Np 1.94
O 0.0707 0.2500 0.0185  1 Np 1.83
O 0.2500 0.5572 0.2684  1 U 1.94
O 0.2500 0.9428 0.2684  1 U 1.94
O 0.4293 0.2500 0.0185  1 Np 1.83
O 0.4401 0.2500 0.4719  1 Np 1.94
O 0.5599 0.7500 0.5281  1 Np 1.94
O 0.5707 0.7500 0.9815  1 Np 1.83
O 0.7500 0.0572 0.7316  1 U 1.94
O 0.7500 0.4428 0.7316  1 U 1.94
O 0.9293 0.7500 0.9815  1 Np 1.83
O 0.9401 0.7500 0.5281  1 Np 1.94
F 0.2500 0.5634 0.7372  1 U 2.03
F 0.2500 0.9366 0.7372  1 U 2.03
F 0.7500 0.0634 0.2628  1 U 2.03
F 0.7500 0.4366 0.2628  1 U 2.03

---

Question: What is the formula in the second record?
Answer: NpUO6F2

* * * * *

#a
# MgMo (GGA-PBE, optimized geometry)
data_MgMo
_chemical_formula_sum 'Mg5 Mo5'
_cell_length_a 5.267
_cell_length_b 4.655
_cell_length_c 7.771
_cell_angle_alpha 90.00
_cell_angle_beta 109.72
_cell_angle_gamma 90.00
_space_group_name_H-M_alt 'P 1 m 1'
_space_group_IT_number 6
_space_group_name_Hall 'P -2y'
loop_
_atom_site_label
_atom_site_type_symbol
_atom_site_fract_x
_atom_site_fract_y
_atom_site_fract_z
Mg1 Mg 0.000 0.000 0.000
Mg2 Mg 0.066 0.500 0.786
Mg3 Mg 0.169 0.000 0.393
Mg4 Mg 0.393 0.000 0.786
Mg5 Mg 0.673 0.500 0.000
Mo1 Mo 0.308 0.500 0.217
Mo2 Mo 0.485 0.500 0.568
Mo3 Mo 0.581 0.000 0.220
Mo4 Mo 0.754 0.000 0.566
Mo5 Mo 0.835 0.500 0.393
# M_tot: 0.00 μB/f.u.

=====

#b
# MgMo (GGA-PBE, optimized geometry)
data_MgMo
_chemical_formula_sum 'Mg6 Mo6'
_cell_length_a 5.739
_cell_length_b 4.477
_cell_length_c 8.304
_cell_angle_alpha 90.00
_cell_angle_beta 92.27
_cell_angle_gamma 90.00
_space_group_name_H-M_alt 'P 1 21/m 1'
_space_group_IT_number 11
_space_group_name_Hall '-P 2yb'
loop_
_atom_site_label
_atom_site_type_symbol
_atom_site_fract_x
_atom_site_fract_y
_atom_site_fract_z
Mg1 Mg 0.095 0.250 0.419
Mg2 Mg 0.270 0.750 0.234
Mg3 Mg 0.403 0.750 0.604
Mo1 Mo 0.070 0.750 0.910
- - -
-- Activity --
It remains to copy only the last part of the data further up, starting with the line that has "0.8285 0.3296".
-- Outcome --
O 0.8285 0.3296 0.2705  1 Np 2.20, 2 Tm 2.21-2.25
F 0.1694 0.1694 0.7568  3 Tm 2.27-2.33
F 0.8306 0.8306 0.2432  3 Tm 2.27-2.33

---

(2)
Computed, not measured: a relaxed NpUO6F2 crystal at the PBE-GGA level of DFT.

Computed properties:
The total energy comes out at -0.6105 Ry per atom. The total magnetic moment comes out at 0.10 μB per atom. As for the mass density: 6.3 g cm⁻³. As for the density of states at the Fermi level: 14.70 states/eV/cell. The value obtained for the uncorrected formation energy is -245 kJ/mol of atoms.

abc: 7.3274 7.6080 5.7993
angles: 90.00 90.00 90.00
With the nearest neighbours (Å) after each atom.
Atoms (fractional coordinates):
Np 0.2500 0.2500 0.2379  4 O 1.83-1.94
Np 0.7500 0.7500 0.7621  4 O 1.83-1.94
U 0.2500 0.7500 0.4863  2 O 1.94, 2 F 2.03
U 0.7500 0.2500 0.5137  2 O 1.94, 2 F 2.03
O 0.0599 0.2500 0.4719  1 Np 1.94
O 0.0707 0.2500 0.0185  1 Np 1.83
O 0.2500 0.5572 0.2684  1 U 1.94
O 0.2500 0.9428 0.2684  1 U 1.94
O 0.4293 0.2500 0.0185  1 Np 1.83
O 0.4401 0.2500 0.4719  1 Np 1.94
O 0.5599 0.7500 0.5281  1 Np 1.94
O 0.5707 0.7500 0.9815  1 Np 1.83
O 0.7500 0.0572 0.7316  1 U 1.94
O 0.7500 0.4428 0.7316  1 U 1.94
O 0.9293 0.7500 0.9815  1 Np 1.83
O 0.9401 0.7500 0.5281  1 Np 1.94
F 0.2500 0.5634 0.7372  1 U 2.03
F 0.2500 0.9366 0.7372  1 U 2.03
F 0.7500 0.0634 0.2628  1 U 2.03
F 0.7500 0.4366 0.2628  1 U 2.03

---

Question: What is the formula in the second record?
Answer: NpUO6F2

* * * * *

#a
# MgMo (GGA-PBE, optimized geometry)
data_MgMo
_chemical_formula_sum 'Mg5 Mo5'
_cell_length_a 5.267
_cell_length_b 4.655
_cell_length_c 7.771
_cell_angle_alpha 90.00
_cell_angle_beta 109.72
_cell_angle_gamma 90.00
_space_group_name_H-M_alt 'P 1 m 1'
_space_group_IT_number 6
_space_group_name_Hall 'P -2y'
loop_
_atom_site_label
_atom_site_type_symbol
_atom_site_fract_x
_atom_site_fract_y
_atom_site_fract_z
Mg1 Mg 0.000 0.000 0.000
Mg2 Mg 0.066 0.500 0.786
Mg3 Mg 0.169 0.000 0.393
Mg4 Mg 0.393 0.000 0.786
Mg5 Mg 0.673 0.500 0.000
Mo1 Mo 0.308 0.500 0.217
Mo2 Mo 0.485 0.500 0.568
Mo3 Mo 0.581 0.000 0.220
Mo4 Mo 0.754 0.000 0.566
Mo5 Mo 0.835 0.500 0.393
# M_tot: 0.00 μB/f.u.

=====

#b
# MgMo (GGA-PBE, optimized geometry)
data_MgMo
_chemical_formula_sum 'Mg6 Mo6'
_cell_length_a 5.739
_cell_length_b 4.477
_cell_length_c 8.304
_cell_angle_alpha 90.00
_cell_angle_beta 92.27
_cell_angle_gamma 90.00
_space_group_name_H-M_alt 'P 1 21/m 1'
_space_group_IT_number 11
_space_group_name_Hall '-P 2yb'
loop_
_atom_site_label
_atom_site_type_symbol
_atom_site_fract_x
_atom_site_fract_y
_atom_site_fract_z
Mg1 Mg 0.095 0.250 0.419
Mg2 Mg 0.270 0.750 0.234
Mg3 Mg 0.403 0.750 0.604
Mo1 Mo 0.070 0.750 0.910